(picture taken from AllTheSky website).
The page is interrupted by records of crystals >
Calculated X-ray diffraction stick pattern of Cr2RuRh4 for λ = 1.5418 Å (Cu Kα), from a crystal structure in Alexandria, relaxed with PBE.
Intensities are scaled so that the largest is 100.

Principal peaks in the range 10 to 80 degrees two-theta, low angle first:
two_theta, Rel. int.
26.1, 9
29.5, 16
32.9, 14
41.2, 12
42.4, 100
43.8, 11
45.4, 22
48.9, 18
53.6, 9
68.9, 12

Cell and atoms:
```
data_Cr2RuRh4
_chemical_formula_sum 'Cr4 Ru2 Rh8'
_cell_length_a 6.839
_cell_length_b 7.994
_cell_length_c 3.726
_cell_angle_alpha 90.00
_cell_angle_beta 90.00
_cell_angle_gamma 90.00
_space_group_name_H-M_alt 'C m m m'
_space_group_IT_number 65
_space_group_name_Hall '-C 2 2'
loop_
_atom_site_label
_atom_site_type_symbol
_atom_site_fract_x
_atom_site_fract_y
_atom_site_fract_z
_atom_site_occupancy
Cr1 Cr 0.000 0.224 0.000 1
Ru1 Ru 0.000 0.000 0.500 1
Rh1 Rh 0.206 0.500 0.000 1
Rh2 Rh 0.250 0.250 0.500 1
```
The records of crystals stop here >
As you can know, the magick conjure is stored in the common lore via the bedtime prayer
To God Almighty, The Lord of Israel, May Michael be at my right hand, Gabriel at my left hand, Before me Raphael and Behind me Uriel, And above me the Divine Presence of God.which comes via the the sefarditic tradition (see below, and also in the book from Pedrosa titled "Las dos Sirenas"). When child, I was used to a Christian version "Cuatro esquinitas tiene mi cama, cuatro angelitos que me acompañan. Virgen Maria, no me desampares, ni de noche ni de dia". Related to this we were used to the bedtime prayer "Con Dios me acuesto, con Dios me levanto, con la Virgen Maria y el Espiritu Santo". Or look this another version, from Malaga:
cuatro esquinitas tiene mi cama cuatro angelitos que me la guardan dos a los pies dos a la cabecera y la Virgen Maria que es mi compañera.
So it is very surprising, to an Spaniard as myself, to learnt that this rite is used (as the Lesser Banishing Ritual of the Pentagram, LBPR, or also some variants) in modern "alt magick" and "wicca" systems -at least it is surprising until one gets the original sources, most probably hispanic based.
**These crystal structures were left in the piece by mistake:**
/*
(1)
NdBPd3: theoretical powder X-ray diffraction pattern (Cu Kα (weighted mean of Kα1 and Kα2)), based on DFT lattice parameters and positions (PBE).
Lines closer than 0.1° are merged.

Crystal structure
Unit cell a=4.3832 b=4.3832 c=4.3832 alpha=90.00 beta=90.00 gamma=90.00
Sites, in units of the cell vectors:
Nd1 0.0000 0.0000 0.0000
B1 0.5000 0.5000 0.5000
Pd1 0.0000 0.5000 0.5000
Pd2 0.5000 0.0000 0.5000
Pd3 0.5000 0.5000 0.0000

Principal peaks in the range 2θ = 10–90°, by angle:
2θ (°)	intensity
20.3	1
28.8	2
35.5	100
41.2	53
46.3	1
51.0	1
59.7	35
71.4	38
75.1	12
89.4	6

***

(2)
NdBPt4: theoretical powder X-ray diffraction pattern (Cu Kα (weighted mean of Kα1 and Kα2)), based on DFT lattice parameters and positions (PBE).
Lines closer than 0.1° are merged.

Crystal structure
Unit cell a=5.4889 b=5.4889 c=7.7601 alpha=90.00 beta=90.00 gamma=120.00
Sites, in units of the cell vectors:
Nd1 0.0000 0.0000 0.0000
Nd2 0.0000 0.0000 0.5000
B1 0.3333 0.6667 0.0000
B2 0.6667 0.3333 0.0000
Pt1 0.0000 0.5000 0.2001
Pt2 0.0000 0.5000 0.7999
Pt3 0.3333 0.6667 0.5000
Pt4 0.5000 0.0000 0.2001
Pt5 0.5000 0.0000 0.7999
Pt6 0.5000 0.5000 0.2001
Pt7 0.5000 0.5000 0.7999
Pt8 0.6667 0.3333 0.5000

Principal peaks in the range 2θ = 10–90°, by angle:
2θ (°)	intensity
18.7	30
29.7	36
34.7	78
37.9	91
39.7	56
40.2	100
44.7	53
52.3	27
68.4	36
72.8	32

***

(3)
Nd2Re3B6: theoretical powder X-ray diffraction pattern (Cu Kα (weighted mean of Kα1 and Kα2)), based on DFT lattice parameters and positions (PBE).
Lines closer than 0.1° are merged.

Crystal structure
Unit cell a=6.3209 b=6.3209 c=7.6251 alpha=90.46 beta=90.46 gamma=114.77
Sites, in units of the cell vectors:
Nd1 0.0591 0.4067 0.1746
Nd2 0.4067 0.0591 0.6746
Nd3 0.5933 0.9409 0.3254
Nd4 0.9409 0.5933 0.8254
Re1 0.0838 0.9162 0.2500
Re2 0.3037 0.4891 0.5873
Re3 0.4891 0.3037 0.0873
Re4 0.5109 0.6963 0.9127
Re5 0.6963 0.5109 0.4127
Re6 0.9162 0.0838 0.7500
B1 0.0591 0.1503 0.4660
B2 0.0862 0.6590 0.4803
B3 0.1503 0.0591 0.9660
B4 0.2574 0.3485 0.8682
B5 0.3410 0.9138 0.0197
B6 0.3485 0.2574 0.3682
B7 0.6515 0.7426 0.6318
B8 0.6590 0.0862 0.9803
B9 0.7426 0.6515 0.1318
B10 0.8497 0.9409 0.0340
B11 0.9138 0.3410 0.5197
B12 0.9409 0.8497 0.5340

Principal peaks in the range 2θ = 10–90°, by angle:
2θ (°)	intensity
28.3	86
31.2	20
33.2	100
33.7	18
35.7	52
38.6	36
42.6	26
46.1	24
49.3	20
63.9	25

***

(4)
NdB2Rh3: theoretical powder X-ray diffraction pattern (Cu Kα (weighted mean of Kα1 and Kα2)), based on DFT lattice parameters and positions (PBE).
Lines closer than 0.1° are merged.

Crystal structure
Unit cell a=5.5160 b=5.5160 c=3.1254 alpha=90.00 beta=90.00 gamma=120.00
Sites, in units of the cell vectors:
Nd1 0.0000 0.0000 0.0000
B1 0.3333 0.6667 0.0000
B2 0.6667 0.3333 0.0000
Rh1 0.0000 0.5000 0.5000
Rh2 0.5000 0.0000 0.5000
Rh3 0.5000 0.5000 0.5000

Principal peaks in the range 2θ = 10–90°, by angle:
2θ (°)	intensity
34.3	74
37.7	100
43.8	44
47.9	15
59.1	40
65.8	13
68.0	19
72.2	29
78.4	13
80.4	11

***

(5)
*/
It is also very interesting to learn that the "four corners" of "my bed" are really the four corners of the sky, which mark the seasons. The evolution process of the four corners, becoming evangelists, winds, monsters and archangels, is a very complex interplay of associations. Still, some basics are understable for instance the idea of getting the weather seasons from a mix of Cold/Hot and Dry/Humid, so that the four elements can be put in the system too. But please notice that Plato and Empedocles lived before the Esenian rites :-)
The astrological puzzle is "Israel Shekinah", the Divine presence of god. But from the picture you can see the traditional triangle with an eye in the middle. So it is not so misterious after all. And if you are Christian, you can use the Cygnus stars to see the cross!
Alejandro Rivero
I conjecture a third possible cross between Cygnus and Aquila, inside the triangle, so it is also possible a Christian allegory, showing that Christ has been incorporated into the visible glory of God (I have not read about this, but I have not researched it in deep).
Also, it seems that other mnemonic systems have been essayed in astrology by using a sort of celestial writting; perhaps they tryied to read off from constellations a series of names instead of looking for figures.
A very extensive review of the tetramorph can be found in this study of tarot card. Incidentaly, my mother used a "thot's book", a set of cards with letters associated to figures, to teach me the alphabet. The major arcana of the tarot most probably correspond to a latin or hebrew version of this teaching tool
How and when was this work assimilated to signify angel, I do not know (some dictionaries mention Sanskitt "angiras" for a divine messanger). Perhaps the paralell between a "corner of earth" and and angel or archangel was only seen as a inteligent wordplay. Or perhaps "angiras" was really evolving from "corner, angle".
"While most could not read Hebrew—though there were some who recited the Shema in Hebrew from memory—most women said a prayer in Judeo-Spanish before going to bed, seeking protection from evil spirits throughout the night:
Kuatro kantonadas ay en esta kaza, Kuatro malahimes, kuatro anjelines, Ke mos guadren de fuego, i de flama, I de palavra mala, i de muerte subetania. Amen. There are four corners in this house, Four angels (in Hebrew), four angels (in Judeo-Spanish), May they protect us from fire, and from flame, And from evil speech, and from sudden death. Amen7. See Molho (1950, 163) for another version of "Kuatro Kantonadas." According to Benbassa-Dudonney, the Sephardic women utter the prayer "Kuatro kantonadas ay en esta kaza" after reciting the "Kriat Shema" (1982, 26-29). It should be pointed out, however, that in many cases, "Kuatro kantonadas" in Judeo-Spanish was the only prayer used by women before going to sleep since they could not read Hebrew, the language of "Kriat Shema." This prayer was popular not only in the Sephardic centers of the Balkans, Turkey, and the Dodecanese Islands, but also in Christian Spain and other localities, such as France and Portugal. In the Kriat Shema al Hamitah, the Shema for the Night Prayer, found in the Daily Prayer Book, the four angels referred to in "Kuatro kantonadas" are specifically named: "In the name of the Lord God of Israel, may Michael be at my right hand, and Gabriel at my left; before me Uriel; behind me Raphael; and above my head the divine presence" (Birnbaum 1949, 784). The Israeli-Sephardic singer Yoram Gaon performed for the welcoming of the new week, "Eli-Eliyahu," in Hebrew, save for the following four lines, which are in Judeo-Spanish:
"A la derecha Mihael, I a la siedra Gabriel, Sovre la kavesa Shehina de El Kada dia i kada noche[To the right Michael, / And to the left Gabriel, / Above the head the Presence of Him, / Each day and each night]" (Gaon, n.d.). José Manuel Pedrosa writes about the night prayer in Christian Spain (2000, 30-42). According to Pedrosa, "Certain determined common traits ... allow us to affirm that the formulas concerning Las cuatro esquinas [The four corners] must be multi-cultural protective expressions of a magical rite against the spirits that in many countries are believed to surround an individual and his environment ... in moments of carelessness, such as sleep" (1995, 187-220)."
http://members.optusnet.com.au/~gtosiris/index.html#top http://www.astronomy.org/astronomy-survival/archae.htmlGenerically, for the archeoastronomy point of view, I suggest you to look for information on the "Mul-Apin" list, or even particular stars as the Pleiads ("Mul-Mul" or "Zappu", the stars, seven times divine).
Completely unrelated, both the Pleiads and the triangle asterism have been reported in the different paintings at Lascaux prehistorical site. Look for Rappengluck in the web and also for Luz Antequera at
http://groups.google.com/groups?selm=19970117180001.NAA19971%40ladder01.news.aol.com&output=gplain http://groups.google.com/groups?selm=3aj4ss%249vk%40dekalb.DC.PeachNet.EDU&output=gplain
" Jacobs used a computer to search the ephemeris for the estimated time of King David’s birth (1050 B.C.E.) and found no time at which six of the seven planets used by the ancients were in this extremely rare configuration. At the AFA Convention in Atlanta in 1978 he was able to confirm the date of October 28, 1062 B.C.E., when the Moon in Cancer completed the second Grand Trine in the element of Water.(42) History remembers King David as the young boy who slew a giant with a slingshot. Stories of his power are legendary. It is said that Joab refused to join Absolom’s conspiracy against his father David “because he (Joab) had seen David’s favorable horoscope.” (See Sanhedrin 49a).(43) "
Battery: [5-3-1]. The Knight's duties are: "To purify the soul of its alloy of earthliness, that through the gate of Capricorn and the seven spheres it may at length ascend to its eternal home beyond the stars; and also to perpetuate the great truths enveloped in the symbols and allegories of ancient mysteries." The apron is white, lined in black, and with gold stars on the white side (Pleiades, Hyades, Orion, Capella) and with silver stars on the black side (Perseus, Scorpio, Bootes). Also on it is a serpent, ouroboros, surrounding a scarab, a triangle in a glory with the Tetragrammaton in its center, and the four initials of the stars Regulus, Aldebaran, Antares, and Fomalhaut. The jewel is a gold tau cross (crux ansata) with a serpent entwined around it, and the Hebrew words HLThI ("he has suffered or been wounded") and NChShThN ("the Brazen Serpent") on it. The order has two ribbons: one crimson, with the words "Osiris, Ormuzd, Osar siph, Moses," a bull and crescent, and the Hebrew word GBVRH ("Valor"); and one white, with the words "Isis, Ceres," a dog's head and crescent, and the word AVN ("Virtue") -- contrasting active/generative energy and passive/"capacity-to-produce" energy.